#WG09 – Quotes
I’ve been at the Worship God ’09 Conference this week and have heard some amazing things. Here are some of the quotes I’ve pulled from Twitter about the conference.
Calculated crystals, as found in the file
-- begin --
Starting from a cell relaxed with GGA+U, the powder X-ray diffraction pattern of Na3Mn2P2C2O14 was computed for Cu Kα.

Crystal structure
Cell: 8.344 8.421 9.116 Å, 90.92 91.40 103.17°
Space group P1 (No. 1)
One atom of each set of equivalent atoms:
Na1 0.000 0.000 0.000
Na2 0.004 0.504 0.523
Na3 0.279 0.213 0.517
Na4 0.296 0.729 0.002
Na5 0.759 0.750 0.535
Na6 0.769 0.262 0.989
Mn1 0.368 0.110 0.120
Mn2 0.405 0.644 0.404
Mn3 0.862 0.610 0.106
Mn4 0.899 0.147 0.417
P1 0.120 0.850 0.334
P2 0.151 0.383 0.192
P3 0.621 0.371 0.330
P4 0.654 0.902 0.188
C1 0.371 0.606 0.668
C2 0.393 0.146 0.856
C3 0.874 0.116 0.682
C4 0.908 0.638 0.842
O1 0.006 0.729 0.944
O2 0.020 0.432 0.095
O3 0.067 0.978 0.431
O4 0.087 0.319 0.344
O5 0.193 0.922 0.187
O6 0.205 0.244 0.105
O7 0.249 0.782 0.425
O8 0.283 0.029 0.917
O9 0.283 0.509 0.563
O10 0.299 0.534 0.222
O11 0.345 0.591 0.800
O12 0.407 0.168 0.724
O13 0.470 0.223 0.300
O14 0.484 0.720 0.609
O15 0.489 0.236 0.959
O16 0.514 0.958 0.099
O17 0.563 0.505 0.422
O18 0.585 0.816 0.330
O19 0.687 0.436 0.181
O20 0.726 0.795 0.084
O21 0.754 0.325 0.429
O22 0.778 0.021 0.584
O23 0.791 0.529 0.901
O24 0.792 0.057 0.230
O25 0.863 0.104 0.817
O26 0.926 0.657 0.707
O27 0.968 0.705 0.296
O28 0.987 0.228 0.617

Principal peaks in the range 2θ = 15–90°, in order of falling intensity:
hkl 1 -1 1, 16.6°, rel. 100
hkl 2 -2 0, 27.2°, rel. 89
hkl 1 1 -2, 25.6°, rel. 74
hkl 2 2 0, 34.5°, rel. 49
hkl 1 1 -3, 33.7°, rel. 42
hkl 1 1 1, 19.9°, rel. 41
hkl -2 2 2, 33.5°, rel. 34
hkl -1 3 1, 33.7°, rel. 32
hkl 1 1 -1, 19.4°, rel. 28
hkl 1 1 2, 26.4°, rel. 27

=====

(1)
This entry pairs a crystal structure of TlBrO3 with its calculated PXRD pattern. Radiation: Cu Kα, 1.54184 Å. Structure: the PBE geometry in the Materials Project.
Peak positions follow from Bragg's law for the DFT cell and can differ from measured ones.

Atomic structure:
a = 3.658 Å, b = 7.589 Å, c = 7.079 Å
α = 90.00°, β = 95.38°, γ = 90.00°
Space group Cm (No. 8)
Inequivalent atoms, fractional coordinates:
Tl 0.000 0.000 0.000 x2
Br 0.355 0.000 0.551 x2
O 0.116 0.229 0.179 x4
O 0.477 0.000 0.813 x2

Top 10 peaks for 15 to 90 degrees two-theta, in order of rising 2θ:
(0 2 0), 2θ = 23.44°, d = 3.795 Å, intensity 100.0
(0 0 2), 2θ = 25.27°, d = 3.524 Å, intensity 67.8
(0 2 1), 2θ = 26.68°, d = 3.341 Å, intensity 37.1
(1 1 0), 2θ = 27.16°, d = 3.284 Å, intensity 45.6
(1 1 -1), 2θ = 29.01°, d = 3.078 Å, intensity 97.4
(1 1 1), 2θ = 31.00°, d = 2.885 Å, intensity 97.7
(0 2 2), 2θ = 34.74°, d = 2.582 Å, intensity 78.4
(1 1 -2), 2θ = 35.77°, d = 2.511 Å, intensity 45.8
(1 3 1), 2θ = 46.21°, d = 1.965 Å, intensity 34.5
(1 1 3), 2θ = 49.58°, d = 1.839 Å, intensity 32.7


(2)
This entry pairs a crystal structure of CuTe with its calculated PXRD pattern. Radiation: Cu Kα, 1.54184 Å. Structure: the PBE geometry in the Materials Project.
Peak positions follow from Bragg's law for the DFT cell and can differ from measured ones.

Atomic structure:
a = 3.897 Å, b = 5.282 Å, c = 4.030 Å
-- stop --
Some quotes may not be word for word. I just pulled them from Twitter
John Piper
“When God’s exaltation of God in Christ at the cross is your joy, your joy can never fail.”
“The cross is not a way of increasing my self-esteem.”
“There is no better foundation for a worship conference than ‘Great is the LORD and greatly to be praised!'”
“The secular mindset cannot love the profound God-centeredness of God in the cross.”
“The only eternal happiness for man is a happiness focused on the glory of God in the face of Christ.”
“God chose to defend his righteousness not by slaying his people, but by slaying his Son.”
“Duty is a good thing, but duty in giving roses on an anniversary is not a good thing.”
“The New Testament is stunningly silent about forms of worship. Frighteningly silent.”
“I don’t write about satisfaction in God as one who has arrived but as one desperately thirsty.”
“Pursuing your joy in God doesn’t make worship you-centered but profoundly God-centered.”
“Pursuing joy in God is an obligation, not a threat to our ethics”
“The essence of worship is the experience of being SATISFIED with all that God is for us in Jesus.”
“God acting to uphold his glory is (God) acting in love.â€
“Most people like to have a religion they can manage.”
“I don’t write about satisfaction in God as one who has arrived but as one desperately thirsty.”
“I don’t write about satisfaction in God as one who has arrived but as one desperately thirsty.”
“Preaching is music. My understanding of preaching is that it’s just music without the music.”
“If God directed us to anything other than himself for satisfaction, he would hate us.”
“One of the main things I have to teach young pastors is look for conjunctions and learn to understand them.”
“How many times has God made the sun rise on millions of rebels who belong in hell?”
“Worship is a means in itself and not a means to an end”
“Because God is most glorified in us when we are most satisfied in him, worship is not vain and love is real.”
“My heart is a desire factory and every day it’s producing bad ones that have to be killed.”
“God is most glorified in us, when we are most satisfied in Him!”
“Galaxies are God’s pinky-finger work; he was not tired when he finished.”
“The cross marks the end of human self-exaltation & is the birth of radical human exultation in God’s self-exaltation.”
“The only eternal happiness for man is a happiness focused on the riches of the glory of God in the face of Jesus.”
“The secular ‘mindset’ of the flesh collides with the Godward, new-born ‘mindset’ on every page of the Bible.”
“Before the cross can be for our sake, it must be for God’s sake—to demonstrate his righteousness and clear his name.”
CJ Mahaney
“It is easier to prepare a one hour sermon than a two minute exhortation.”
“the more we prepare what we are going to say the easier spontaneity will come”
“a well-meaning leader of worship that inserts frequently into the worship so that he is a distraction or creates dependence”
“Priority must be congregation singing gospel centered songs. Creativity mustn’t distract from that purpose. We’re about content.”
“in a worship band, you are not just serving with your skills but with your soul”
“We don’t want to build a church known for its creativity. I want them freshly affected by the content and the singing.”
“The goal is content in congregational singing. The goal is not to be more creative than last week.”
“We must never leave the impression in our worship that we do not need a mediator.”
“Pastors – You are being studied during worship by your congregations.”
“any progress we made is because of grace and others. I would not want you to leave here impressed with us”
“Singing is a cessation as a congregation of listening to yourselves and a choice to talk to yourselves with Gospel truth!”
“most of your unhappiness comes from the fact that we are listening to ourselves rather than speaking to ourselves. – MLJones”
“every Sunday should be a preview of heaven”
“The Cross is the central theme of the Bible. So it should also be the central theme of our singing.”
“we must plan but it would be arrogant to assume our plans were perfect and sufficient. we must still listen!”
“the Holy Spirit is no less present in planning.” “plan & plan diligently but don’t be dependent on the plan”
“Creativity must be handled with care.”
Bob Kauflin
“you never know when someone is going to look on stage and see you either engaged or paying attention to your music.”
“One way the spirit leads is as you plan and another way He leads is after you plan your corporate gatherings.”
“Your job as Worship Leader is to not stop listening to the Holy Spirit when you are done planning the service.”
“Sometimes I kneel because I am overwhelmed. Sometimes I kneel because I need to be overwhelmed.”
Thabiti Anyabwile
“Ain’t nobody being paternal when God hangs the picture of the church on the fridge of the cosmos.”
“Christianity is not a self help religion”
“The church is God’s glorious handiwork demonstrating his manifold wisdom to the universe.”
wife describes housework as “hanging pearls on a string without a knot on the other end”
“To reject the church is to take your own spiritual life”
“Spiritual maturity is a community project. We can’t mature in Christ independent of the local church.”
Jeff Purswell
“There’s nothing more central to Christian worship than the preaching of the Word.”
referred to John Piper as “The Pipe Bomb”
“Worship doesn’t take us into God’s presence; the substitutionary death of Christ takes into his presence”
“In our singing we are addressing God. In preaching God is addressing us. Which is more important?”
Attached: calculated crystals =
-- begin --
No. 1
For Li5IO6, a cell relaxed with PBE gives the simulated XRD peak list in this record (a wavelength of 1.5418 Å).

Cell and atoms:
```
Li5IO6
1.0
5.176 0.000 0.000
-2.588 4.482 0.000
0.000 0.000 14.495
Li I O
15 3 18
Cartesian
0.842 0.486 0.000
0.000 1.965 2.416
-0.886 3.500 12.079
0.000 2.017 9.664
-0.841 3.474 4.832
0.841 3.474 0.000
2.588 0.476 2.416
1.706 2.003 12.079
2.588 0.517 9.664
1.741 1.983 4.832
0.886 3.500 7.248
3.434 1.983 0.000
4.334 0.486 4.832
2.588 3.510 9.664
3.470 2.003 7.248
0.879 0.508 7.248
4.297 0.508 12.079
2.588 3.467 2.416
-0.113 1.848 13.211
-1.044 3.460 1.284
0.793 0.326 3.498
0.679 0.523 10.997
0.113 1.848 6.116
-0.931 3.656 8.380
2.433 0.502 6.133
1.651 1.857 8.363
2.742 0.502 13.194
1.806 2.124 1.301
1.044 3.460 3.548
0.931 3.656 10.947
4.383 0.326 1.334
2.474 3.633 13.162
3.525 1.857 10.964
3.370 2.124 3.531
4.497 0.523 8.330
2.702 3.633 6.165
```

Principal peaks in the range 15° ≤ 2θ ≤ 90°, in order of falling intensity:
2θ 20.74, intensity 1000, (1 0 1)
2θ 42.95, intensity 704, (1 1 4)
2θ 23.33, intensity 702, (1 0 2)
2θ 18.36, intensity 670, (0 0 3)
2θ 19.81, intensity 532, (1 0 0)
2θ 27.14, intensity 420, (1 0 3)
2θ 35.23, intensity 291, (1 1 1)
2θ 31.75, intensity 260, (1 0 4)

***

No. 2
For Pr4NdEr5, a cell relaxed with PBE gives the simulated XRD peak list in this record (a wavelength of 1.5418 Å).

Cell and atoms:
```
Pr4NdEr5
1.0
3.543 0.000 0.000
-1.767 8.597 0.000
-0.004 -0.048 11.401
Pr Nd Er
4 1 5
Cartesian
0.005 0.564 2.821
0.021 5.849 2.852
1.752 2.700 8.549
1.767 7.985 8.580
1.770 -0.024 5.701
-0.003 2.964 0.503
-0.005 2.978 5.134
1.772 0.000 0.000
1.778 5.571 6.267
1.775 5.586 10.898
```

Principal peaks in the range 15° ≤ 2θ ≤ 90°, in order of falling intensity:
2θ 33.64, intensity 1000, (-1 2 2)
2θ 31.37, intensity 341, (0 0 4)
2θ 31.21, intensity 280, (0 3 0)
2θ 26.86, intensity 212, (-1 1 1)
2θ 25.63, intensity 178, (0 1 3)
2θ 47.72, intensity 157, (1 -1 5)
2θ 61.61, intensity 140, (2 -4 0)
2θ 31.49, intensity 129, (0 2 3)

***

No. 3
For Rb3TcN3, a cell relaxed with PBE gives the simulated XRD peak list in this record (a wavelength of 1.5418 Å).

Cell and atoms:
```
Rb3TcN3
1.0
7.762 0.000 0.000
0.000 7.199 0.000
-1.108 0.000 11.380
Rb Tc N
12 4 12
Cartesian
0.166 0.747 1.782
-0.388 2.852 7.471
1.778 1.329 10.566
2.332 2.271 4.876
1.918 4.934 9.197
2.472 5.865 3.507
4.183 1.335 7.873
4.737 2.265 2.183
4.323 4.928 6.504
4.877 5.871 0.814
7.042 4.347 3.908
6.489 6.452 9.598
1.063 4.103 0.692
0.509 6.696 6.382
6.146 0.503 4.997
5.592 3.097 10.687
0.350 0.413 4.634
-0.204 3.186 10.324
1.173 5.031 6.168
1.727 5.769 0.478
1.434 0.450 7.591
1.988 3.150 1.902
4.667 4.050 9.478
5.221 6.749 3.788
4.928 1.431 10.901
5.482 2.169 5.211
6.859 4.013 1.055
6.305 6.786 6.745
```

Principal peaks in the range 15° ≤ 2θ ≤ 90°, in order of falling intensity:
2θ 28.77, intensity 1000, (1 2 1)
2θ 28.06, intensity 702, (1 1 -3)
2θ 33.88, intensity 696, (0 1 4)
2θ 29.40, intensity 583, (2 1 -2)
-- stop --
“Creativity is not something you DO, it’s the WAY you do something.”